Excerpt >
~~~
a:
VASP calculation (GGA+U) on a geometry-optimized LiV2C4O12 structure.

```
LiV2C4O12
1.0
0.314 3.898 4.652
3.423 -6.231 4.990
7.672 3.967 -0.309
C V O Li
8 4 24 2
Direct
0.711 0.093 0.784
0.711 0.593 0.284
0.789 0.093 0.216
0.297 0.905 0.209
0.789 0.593 0.716
0.297 0.405 0.709
0.203 0.405 0.291
0.203 0.905 0.791
0.750 0.807 0.000
0.250 0.697 0.500
0.750 0.307 0.500
0.250 0.197 0.000
0.933 0.691 0.615
0.100 0.296 0.391
0.827 0.137 0.641
0.673 0.137 0.359
0.827 0.637 0.141
0.933 0.191 0.115
0.207 0.879 0.364
0.567 0.191 0.885
0.287 0.545 0.663
0.293 0.879 0.636
0.400 0.296 0.609
0.213 0.045 0.837
0.767 0.458 0.667
0.207 0.379 0.864
0.287 0.045 0.163
0.100 0.796 0.891
0.400 0.796 0.109
0.567 0.691 0.385
0.733 0.458 0.333
0.673 0.637 0.859
0.293 0.379 0.136
0.767 0.958 0.167
0.733 0.958 0.833
0.213 0.545 0.337
0.250 0.099 0.500
0.250 0.599 0.000
```

calculated volume	11.4	Å³/atom
ρ	2.67	g cm⁻³

b:
VASP calculation (GGA+U) on a geometry-optimized LiV2C4O12 structure.

```
LiV2C4O12
1.0
-3.968 -4.799 -4.816
5.104 -4.545 4.127
-5.953 1.964 5.872
V Li C O
4 2 8 24
Direct
0.794 0.536 0.939
0.713 0.258 0.449
0.287 0.742 0.551
0.206 0.464 0.061
0.795 0.983 0.184
0.205 0.017 0.816
0.944 0.665 0.687
0.056 0.335 0.313
0.462 0.849 0.280
0.994 0.267 0.767
0.532 0.368 0.243
0.006 0.733 0.233
0.538 0.151 0.720
0.468 0.632 0.757
0.588 0.997 0.280
0.527 0.689 0.641
0.412 0.003 0.720
0.449 0.820 0.420
0.449 0.430 0.139
0.551 0.180 0.580
0.989 0.422 0.858
0.011 0.578 0.142
0.925 0.223 0.350
0.640 0.268 0.861
0.872 0.776 0.153
0.360 0.732 0.139
0.473 0.311 0.359
0.084 0.281 0.172
0.887 0.175 0.624
0.306 0.644 0.757
0.128 0.224 0.847
0.916 0.719 0.828
0.551 0.570 0.861
0.075 0.777 0.650
0.694 0.356 0.243
0.156 0.492 0.418
0.113 0.825 0.376
0.844 0.507 0.582
```

calculated volume	12.7	Å³/atom
space-group type	P-1
ρ	2.40	g cm⁻³
crystal system	triclinic

Relative stability in meV per atom, measured from the most stable structure: a 0; b 36

a:
VASP calculation (GGA+U) on a geometry-optimized LiV2C4O12 structure.

```
LiV2C4O12
1.0
6.827 4.218 3.135
-6.866 4.944 1.623
-0.318 -7.758 3.734
O V C Li
24 4 8 2
Direct
0.953 0.946 0.857
0.201 0.946 0.038
0.408 0.164 0.462
0.030 0.348 0.457
0.606 0.758 0.560
0.609 0.192 0.152
0.698 0.046 0.940
0.391 0.574 0.043
0.473 0.869 0.960
0.027 0.988 0.396
0.092 0.554 0.756
0.409 0.512 0.540
0.109 0.152 0.182
0.547 0.404 0.993
0.299 0.336 0.744
0.959 0.308 0.916
0.541 0.457 0.348
0.589 0.096 0.643
0.091 0.631 0.104
0.894 0.454 0.152
0.470 0.926 0.318
0.891 0.043 0.584
0.911 0.554 0.507
0.802 0.742 0.348
0.218 0.250 0.468
0.769 0.019 0.750
0.282 0.750 0.032
0.731 0.481 0.250
0.911 0.926 0.444
0.518 0.574 0.484
0.589 0.033 0.016
0.014 0.487 0.570
0.417 0.444 0.930
0.486 0.056 0.473
0.982 0.467 0.056
0.083 0.013 0.027
0.067 0.317 0.750
0.433 0.183 0.250
```

calculated volume	12.9	Å³/atom
space-group type	I2_12_12_1
ρ	2.37	g cm⁻³
crystal system	orthorhombic

b:
VASP calculation (GGA+U) on a geometry-optimized LiV2C4O12 structure.

```
LiV2C4O12
1.0
3.153 3.321 3.449
0.032 -7.364 3.480
6.333 -0.136 -1.480
O C V Li
12 4 2 1
Direct
0.607 0.409 0.818
0.017 0.283 0.418
0.095 0.943 0.684
0.240 0.847 0.077
0.409 0.159 0.016
0.794 0.742 0.592
0.221 0.236 0.820
0.132 0.670 0.608
0.004 0.577 0.200
0.837 0.071 0.234
0.847 0.762 0.077
0.643 0.280 0.396
0.024 0.720 0.121
0.004 0.784 0.631
0.420 0.276 0.882
0.833 0.209 0.346
0.094 0.000 0.980
0.865 0.498 0.516
0.263 0.184 0.488
```

calculated volume	14.2	Å³/atom
space-group type	P1
ρ	2.15	g cm⁻³
crystal system	triclinic

c:
VASP calculation (GGA+U) on a geometry-optimized LiV2C4O12 structure.

```
LiV2C4O12
1.0
-2.174 -3.639 -4.058
7.702 1.186 -5.390
3.959 -4.247 4.819
Li O C V
2 24 8 4
Direct
0.500 0.750 0.500
0.500 0.250 0.500
0.881 0.326 0.617
0.177 0.300 0.882
0.119 0.174 0.383
0.501 0.135 0.773
0.994 0.890 0.273
0.609 0.921 0.897
0.823 0.200 0.118
0.882 0.826 0.617
0.006 0.611 0.727
0.823 0.700 0.118
0.648 0.061 0.386
0.352 0.439 0.614
0.118 0.674 0.383
0.177 0.800 0.882
~~~

Request >
The reader should work out how many lines earlier on have the word "the" in them; a number is enough.

Written answer >
1